When parents are married, ensuring that their children are taken care of financially is fairly simple. When parents get divorced, however, things can become more complicated. In California, both parents bear an equal responsibility for taking care of any children they share. Child support often plays an important role in a child’s life after divorce.

Child support is calculated, in part, on the income earned by both parents. Unfortunately, some parents attempt to reduce their income after getting divorced to reduce their child support obligations. This is generally done with the intent to punish the other parent. However, the child for whom the support is intended will be the one to suffer the consequences. In California, if a parent has a drastic change in income after a divorce or separation, courts have the authority to impute income to the parent to ensure that child support is calculated properly.

Who Pays Child Support?

Child support is a tool that helps to make sure that a child receives all necessary care and financial support that is necessary.  In California, both parents have an obligation to provide equally for their children. However, many child support arrangements only require one parent to pay.

Why? When parents get divorced, they must figure out how custody of their children will be divided. Will one parent have primary physical custody of the child, while the other has visitation rights? Will both parents split physical custody evenly? The answer to this question will help to determine which parent will bear the burden of paying child support.

## Here the entry breaks off for molecular data
********
[1]
Below is C16H44KNO7 as an isolated structure at a distorted geometry, with properties calculated with ωB97M-V with the def2-TZVPD basis set.

Positions of all 69 atoms, in Å:
K: -0.633 -0.195 0.009
C: 0.353 -3.765 1.824
C: 0.322 -2.267 1.576
O: 0.469 -1.829 0.205
H: -0.575 -4.286 1.588
H: 0.467 -3.883 2.902
H: 1.130 -4.272 1.253
H: 1.099 -1.813 2.191
H: -0.568 -1.819 2.016
C: -2.315 0.661 2.850
O: -1.076 -0.016 2.934
C: -0.012 0.909 3.195
C: 0.138 2.059 2.093
N: 0.506 1.460 0.790
C: 1.115 2.599 0.185
C: 1.463 2.038 -1.290
O: 1.806 3.154 -2.155
C: 2.277 2.737 -3.433
H: -2.505 1.329 3.691
H: -3.115 -0.079 2.880
H: -2.351 1.137 1.870
H: 0.878 0.295 3.331
H: -0.095 1.408 4.160
H: 0.878 2.758 2.484
H: -0.798 2.599 1.948
H: 1.180 0.717 0.910
H: 2.061 2.929 0.614
H: 0.458 3.466 0.115
H: 0.644 1.500 -1.767
H: 2.350 1.410 -1.221
H: 3.073 1.995 -3.368
H: 2.685 3.584 -3.986
H: 1.448 2.323 -4.007
C: 3.515 0.656 1.347
C: 2.498 -0.477 1.526
O: 1.339 -0.318 0.707
H: 4.444 0.265 1.763
H: 3.244 1.666 1.654
H: 3.751 0.725 0.285
H: 2.123 -0.532 2.548
H: 2.921 -1.430 1.206
H: 0.899 -1.170 0.658
C: -2.551 1.272 -2.090
C: -2.383 1.590 -0.604
O: -2.493 0.373 0.081
H: -2.360 2.125 -2.742
H: -3.490 0.795 -2.371
H: -1.744 0.570 -2.300
H: -3.146 2.319 -0.332
H: -1.432 2.111 -0.483
H: -3.317 0.353 0.573
C: 1.100 -1.428 -3.060
C: 1.069 -0.080 -2.403
O: -0.329 0.108 -2.023
H: 2.067 -1.543 -3.550
H: 0.296 -1.549 -3.785
H: 0.971 -2.162 -2.265
H: 1.425 0.731 -3.039
H: 1.705 -0.108 -1.518
H: -0.863 -0.023 -2.810
C: -3.358 -2.752 -0.775
C: -2.106 -2.606 0.095
O: -1.076 -2.166 -0.746
H: -3.533 -1.833 -1.335
H: -4.264 -3.019 -0.232
H: -3.189 -3.584 -1.459
H: -1.995 -3.588 0.554
H: -2.243 -1.804 0.820
H: -0.251 -2.328 -0.283

Its energy above the lowest of the compared OMol25 structures with the same formula, charge and spin is 2144.66 kJ/mol. Its HOMO energy is -7.01 eV. The energy is -1816.5141 Eh. The value obtained for the molar mass is 401.63 g mol⁻¹.



[2]
Below is C16H44N4O4 as an isolated structure at a distorted geometry, with properties calculated with ωB97M-V with the def2-TZVPD basis set.

Positions of all 68 atoms, in Å:
C: 3.762 -1.785 0.204
C: 2.294 -1.533 0.615
C: 2.155 -0.524 1.786
O: 0.774 -0.371 2.198
C: 0.521 0.113 3.509
N: 1.552 -1.155 -0.554
H: 3.928 -2.555 -0.550
H: 4.337 -2.055 1.089
H: 4.260 -0.878 -0.140
H: 2.004 -2.561 0.832
H: 2.598 0.399 1.411
H: 2.714 -0.989 2.598
H: 0.679 -0.658 4.263
H: -0.521 0.421 3.593
H: 1.228 0.907 3.746
H: 0.733 -0.779 -0.097
H: 2.049 -0.330 -0.857
C: 2.438 1.248 -1.406
C: 2.025 2.600 -0.828
C: 0.635 3.019 -1.219
O: 0.375 4.421 -0.893
C: -0.997 4.670 -0.897
N: 2.003 2.547 0.607
H: 2.530 1.235 -2.492
H: 1.710 0.450 -1.267
H: 3.376 1.002 -0.908
H: 2.714 3.270 -1.344
H: -0.173 2.418 -0.802
H: 0.545 2.913 -2.300
H: -1.473 4.457 -1.855
H: -1.295 5.695 -0.678
H: -1.543 4.159 -0.105
H: 2.973 2.713 0.838
H: 1.453 3.319 0.955
C: -2.509 -2.395 0.302
C: -1.071 -1.996 0.207
C: -0.101 -3.161 0.197
O: -0.624 -4.103 -0.696
********

In most cases, the parent with whom the child lives the most (known as the custodial parent) will receive child support payments. Why? It’s assumed that the custodial parent is already paying for many of the child’s needs. Since the non-custodial parent is spending less out-of-pocket for the child’s everyday needs, support helps to level the playing field.

What if both parents share a fairly equal amount of time with the child? A court will likely require child support payments to the parent who earns less money.

What is Imputed Income?

• These records of molecules were left in the page by mistake:
____________
[1]
Computed, not measured: a structure of composition C38H44BrLiN4OSSi, with ωB97M-V with the def2-TZVPD basis set.

Summary:
* Kohn-Sham gap: 4.3 eV
* LUMO: 3.8644 eV
* highest occupied orbital energy: -0.43 eV
* DFT total energy: -5037.91870 hartree
* relative energy (zero: lowest compared OMol25 entry of this formula, charge and spin): 0.0 kcal/mol

```
! wB97M-V def2-TZVPD RIJCOSX def2/J DEFGRID3
* xyz -2 1
Li 1.49 2.14 -0.10
Br 3.66 -3.40 4.16
C 3.54 -1.82 3.07
C 4.53 -1.58 2.11
C 4.41 -0.49 1.28
C 3.28 0.42 1.32
O 3.19 1.37 0.51
C 2.31 0.13 2.36
C 1.12 0.95 2.55
N 0.90 2.02 1.92
C -0.29 2.82 2.20
C -0.54 3.13 3.66
C -1.21 4.26 4.01
C -1.52 5.30 3.11
C -0.92 5.27 1.84
C -0.92 6.35 0.93
C -0.17 6.30 -0.23
C 0.59 5.17 -0.50
N 0.55 4.10 0.30
C -0.18 4.13 1.40
C 2.46 -0.98 3.19
H 5.38 -2.24 2.03
H 5.16 -0.29 0.53
H 0.42 0.58 3.32
H -0.28 2.37 4.39
H -1.48 4.39 5.06
H -2.07 6.18 3.44
H -1.51 7.24 1.17
H -0.16 7.13 -0.92
H 1.22 5.09 -1.38
H 1.71 -1.17 3.95
C 1.25 1.59 -2.10
C 1.15 1.55 -3.33
C 1.04 1.52 -4.74
C 0.77 0.34 -5.45
C 0.64 0.33 -6.83
C 0.78 1.50 -7.56
C 1.05 2.68 -6.89
C 1.18 2.70 -5.51
H 0.65 -0.58 -4.88
H 0.43 -0.61 -7.34
H 0.68 1.49 -8.64
H 1.16 3.61 -7.44
H 1.39 3.62 -4.98
C -4.21 1.04 -1.19
Si -4.20 1.25 0.67
C -4.83 -0.36 1.43
C -5.39 2.63 1.16
C -2.57 1.70 1.29
C -1.51 2.14 1.68
H -5.20 0.79 -1.57
H -3.51 0.26 -1.48
H -3.88 1.96 -1.68
H -5.87 -0.55 1.15
H -4.77 -0.32 2.52
H -4.22 -1.20 1.10
H -6.43 2.40 0.91
H -5.11 3.56 0.67
H -5.33 2.81 2.24
C 1.37 -4.86 -2.41
C 2.74 -4.66 -1.76
C 3.24 -3.21 -1.74
C 2.59 -2.30 -0.70
N 1.18 -2.06 -0.96
C 0.24 -1.87 -0.01
S -1.14 -1.01 -0.34
N 0.51 -2.38 1.25
C 0.59 -3.82 1.45
C -0.75 -4.55 1.35
C -1.64 -4.45 2.59
C -2.14 -3.04 2.93
H 1.13 -5.93 -2.47
H 1.36 -4.45 -3.42
H 0.58 -4.38 -1.84
H 3.47 -5.27 -2.31
H 2.72 -5.05 -0.74
H 3.11 -2.77 -2.73
H 4.31 -3.22 -1.52
H 3.11 -1.33 -0.70
H 2.71 -2.70 0.30
H 0.98 -1.51 -1.79
H -0.12 -1.94 1.91
H 1.05 -4.00 2.43
H 1.27 -4.23 0.70
H -0.55 -5.61 1.16
H -1.29 -4.15 0.48
H -1.09 -4.85 3.45
H -2.50 -5.10 2.43
H -1.39 -2.45 3.46
H -3.02 -3.09 3.58
H -2.43 -2.49 2.03
*
```

[2]
Computed, not measured: a cluster of 6 separate species, C38H44F5NO3P in total in a non-equilibrium geometry, with ωB97M-V with the def2-TZVPD basis set.

Summary:
* Kohn-Sham gap: 8.2 eV
* LUMO: -2.2969 eV
* highest occupied orbital energy: -10.53 eV
* DFT total energy: -2595.34850 hartree

```
! wB97M-V def2-TZVPD RIJCOSX def2/J DEFGRID3
* xyz 1 1
C 0.76 1.28 1.72
P 0.14 0.59 0.18
N -1.42 1.09 -0.12
C 0.21 -1.17 0.39
C -0.40 -2.11 -0.68
C -1.78 -1.72 -1.23
C -2.51 -2.91 -1.88
O -3.88 -3.00 -1.51
C 1.15 1.24 -1.18
C 1.89 0.24 -2.10
C 1.35 0.32 -3.51
O 1.96 0.83 -4.43
O 0.06 -0.13 -3.65
H 1.17 0.48 2.33
H -0.08 1.72 2.27
H 1.55 2.01 1.55
H -1.97 1.13 0.74
H -1.43 2.03 -0.51
H 1.28 -1.38 0.50
H -0.23 -1.39 1.36
H 0.30 -2.26 -1.51
H -0.49 -3.09 -0.20
H -1.66 -0.93 -1.97
H -2.42 -1.35 -0.42
H -2.05 -3.85 -1.57
H -2.45 -2.83 -2.97
H -4.28 -2.12 -1.57
H 1.90 1.88 -0.70
H 0.51 1.91 -1.76
____________

What does it mean to “impute” income to a parent? Imputed, by definition, means assigning value to something using inference to determine its true value. This is important in the context of child custody when a parent tries to cheat the system and reduce the support they may be required to pay.

Here’s an example:

Joe and Sally, who have a 5-year-old daughter, get a divorce. Before the divorce, Joe was earning $80,000 a year. Once Sally asked for a divorce and requested primary physical custody of their daughter, Joe decided that he would take a significant pay cut so that he wouldn’t be forced to pay support. When Joe and Sally could not agree on child support payments, a court stepped in to resolve the issue. At the hearing, Joe asserted that he now only earned minimum wage, and that support should be calculated using his new income, rather than his old income.

A judge would review Joe’s change in circumstances and try to understand why his income has changed so significantly in such a short amount of time. If Sally believed that the reduced income was an effort to avoid paying child support, she would have the opportunity to present evidence supporting that. If a judge decided that there was no reasonable explanation for the change in income, he or she could impute income to Joe. In other words, the judge would decide that child support should be calculated using Joe’s full earning potential, rather than what he is currently bringing in.

When Will Judges Impute Income?

There are two situations when judges will decide to impute income: voluntary unemployment and voluntary underemployment. The important phrasing here is “voluntary.” When a parent decides to become unemployed or accept a job that does not fulfill their earning potential, courts will be unhappy.

Will Judges Always Impute Income?

No. There can be legitimate reasons for the change in a parent’s income or earning capacity. A court will always try to determine what arrangement and requirements serve the best interests of a child. Parents will not be penalized for involuntary unemployment, disability, or other causes of change in income that are out of their control.

[Here the text breaks off for quantum chemistry results]
/*
(1)
{
  "formula": "C23H25N7OPt",
  "method": "wB97M-V/def2-TZVPD",
  "species": ["Pt", "C", "N", "C", "C", "C", "C", "C", "C", "N", "C", "C", "C", "C", "C", "C", "N", "C", "C", "C", "C", "C", "N", "H", "H", "H", "H", "H", "H", "H", "H", "H", "H", "H", "H", "H", "H", "H", "H", "H", "H", "C", "N", "C", "C", "C", "N", "C", "O", "N", "H", "H", "H", "H", "H", "H", "H"],
  "coordinates": [[-0.566, 1.549, -1.455], [0.753, 0.551, 1.123], [0.538, 1.844, 0.446], [-0.358, 2.771, 1.163], [-1.833, 2.497, 0.933], [-2.776, 2.789, 1.898], [-4.124, 2.606, 1.609], [-4.488, 2.120, 0.364], [-3.494, 1.844, -0.554], [-2.198, 2.039, -0.278], [1.807, 2.420, -0.062], [2.295, 1.697, -1.301], [3.629, 1.429, -1.513], [4.014, 0.807, -2.696], [3.048, 0.463, -3.624], [1.726, 0.750, -3.343], [1.361, 1.363, -2.213], [-0.364, -1.305, -0.138], [-1.269, -2.491, 0.045], [-1.926, -3.019, -1.013], [-1.928, -2.397, -2.288], [-1.353, -1.173, -2.352], [-0.651, -0.596, -1.353], [1.647, 0.119, 0.667], [0.965, 0.730, 2.179], [-0.151, 2.767, 2.237], [-0.151, 3.778, 0.800], [-2.459, 3.171, 2.861], [-4.877, 2.843, 2.350], [-5.523, 1.959, 0.098], [-3.725, 1.456, -1.537], [1.617, 3.464, -0.308], [2.589, 2.401, 0.700], [4.361, 1.708, -0.767], [5.059, 0.592, -2.883], [3.304, -0.027, -4.552], [0.936, 0.491, -4.033], [-1.325, -2.978, 1.012], [-2.499, -3.927, -0.862], [-2.440, -2.817, -3.140], [-1.459, -0.570, -3.252], [2.837, -3.394, 0.572], [1.626, -2.601, 0.900], [1.210, -2.588, 2.166], [0.168, -1.947, 2.806], [-0.690, -1.002, 2.234], [-0.398, -0.344, 1.023], [1.073, -1.889, -0.229], [1.689, -1.917, -1.254], [-1.826, -0.665, 2.785], [3.110, -3.994, 1.434], [3.658, -2.735, 0.305], [2.625, -4.038, -0.275], [1.802, -3.240, 2.796], [-0.016, -2.260, 3.826], [-2.173, -1.128, 3.613], [-2.408, 0.024, 2.329]],
  "total_charge": 2,
  "largest_force_ev_per_a": 0.44,
  "multiplicity": 3,
  "gap_ev": [6.06, 5.76],
  "homo_energy_ha": [-0.46160, -0.45983]
}

---

(2)
{
  "formula": "C23H26BN5STeV",
  "method": "wB97M-V/def2-TZVPD",
  "species": ["V", "C", "C", "N", "N", "C", "N", "S", "C", "C", "C", "C", "C", "N", "H", "H", "H", "H", "H", "H", "H", "H", "H", "C", "C", "C", "C", "C", "C", "H", "H", "H", "H", "H", "H", "C", "Te", "C", "C", "C", "C", "C", "C", "C", "H", "H", "H", "H", "H", "H", "H", "H", "B", "C", "N", "H", "H", "H"],
*/

Contact an Experienced Child Support Attorney

Is your child’s other parent supposed to be paying child support? Do you believe that they have intentionally reduced their income to reduce the amount of support they’re required to pay? Contact the Los Angeles family law attorneys at Fernandez Law Group for help.

Our Certified Family Law Specialists have over 50 years of experience handling family disputes in Los Angeles. We understand that child support is essential to your child’s wellbeing and will fight to make sure that the other parent pays his or her share. Call today to schedule a free consultation and learn more.